SHSP Key Components
Emphasis Areas
Incident Management/EMS
Improve quality and timeliness of police reported crash data through improvements to the overall crash database.
Improve the diversity and completeness of highway data, including collection of all Model Inventory of Roadway Elements (MIRE) Fundamental Data Elements (FDEs) by 2026.
Investigate emerging datasets and resources for applicability for safety analysis.
Use Vermont Statewide Incident Reporting Network (SIREN) data to supplement crash data with injury information, patient demographics, restraint-use, medical interventions applied.
Use VALCOUR/Judicial Bureau system to access traffic citation data and better understand risks to road users and behavioral trends.
Improve crash data analysis to support data-driven decision making (e.g., hot spot, systemic, and predictive methods), as well as support before/after evaluations.
Communicate safety data, risks, and other analysis to stakeholders and the public via dashboards or other mechanisms.
Explore ways to incorporate qualitative and observational data (e.g., road safety audits and intersection/pedestrian conflict studies) into traditional network and systemic safety screening.
Research best practices from around the country with respect to data and data analysis (e.g., peer exchanges, roundtables, pooled fund studies, and national databases).
- 10% reduction in the five-year rolling average distracted driving fatalities and serious injuries by 2026.
Improve public awareness on what defines distracted and drowsy driving and its associated laws and dangers.
Enhance effectiveness and awareness of countermeasures, such as safety rest stops, safe texting areas, and apps that mitigate texting while driving.
Improve coordination between stakeholders to maximize enforcement of distracted driving penalties.
Use research and incorporate infrastructure elements to address driver alertness.
Continue to improve and diversify data sources and use research statistics, trends, and attitudes, and strengthen legislation related to distracted driving.
Train law enforcement officers on best practices to address distracted and drowsy driving.
- 15% reduction in the five-year rolling average impaired driving fatalities and serious injuries by 2026.
Improve public awareness of what impaired driving is and its associated dangers.
Regularly update and promote programs for consistent education for individuals and organizations charged with addressing impairment issues.
Evaluate the effectiveness of impaired driving penalties and their impact on enforcement activities.
Continue to train law enforcement officers to assist them in detecting incidents of Driving While Impaired by Drugs.
Support the use of roadside drug technology as an additional tool to deter and detect drug impaired drivers.
Support expansion of use of Ignition Interlock Devices by all DWI Alcohol offenders.
Increase offender accountability and rehabilitation through DWI Courts and other programs.
- 15% reduction in the five-year rolling average intersection-related fatalities and serious injuries by 2026.
Improve traffic signal operations.
Implement physical changes on the approaches to and at intersections to increase the safety of all users.
Improve roadway user understanding and compliance at intersections with engineering, education, and enforcement programs.
Mitigate high-crash locations by providing data, countermeasure alternatives, and other resources to implement improvements.
Support systemic solutions state-wide by providing data, countermeasure alternatives, and other resources to implement improvements.
Conduct and/or support research efforts in the area of intersection safety for all roadway users.
<<<
Structure and calculated powder X-ray diffraction pattern of MnCoReSe (a GGA-PBE-relaxed structure; Cu Ka).

Top 10 peaks for 10° ≤ 2θ ≤ 90°, sorted by position:
- 2θ = 14.2°, 6.226 Å, I = 89
- 2θ = 27.4°, 3.259 Å, I = 33
- 2θ = 28.7°, 3.113 Å, I = 24
- 2θ = 34.2°, 2.619 Å, I = 70
- 2θ = 39.2°, 2.299 Å, I = 60
- 2θ = 42.3°, 2.138 Å, I = 35
- 2θ = 44.8°, 2.022 Å, I = 100
- 2θ = 45.2°, 2.004 Å, I = 65
- 2θ = 49.3°, 1.849 Å, I = 35
- 2θ = 54.3°, 1.688 Å, I = 24

Structural model:
a = 2.7612 Å, b = 3.3769 Å, c = 12.4517 Å
α = 90.00°, β = 90.00°, γ = 90.00°
Fractional coordinates of all 8 atoms:
Mn: 0.0000 0.0000 0.0000
Mn: 0.5000 0.5000 0.5000
Co: 0.0000 0.0000 0.2140
Co: 0.5000 0.5000 0.7140
Re: 0.0000 0.0000 0.6052
Re: 0.5000 0.5000 0.1052
Se: 0.0000 0.5000 0.3447
Se: 0.5000 0.0000 0.8447

Structure and calculated powder X-ray diffraction pattern of Mn6CoRh (a GGA-PBE-relaxed structure; Cu Ka).

Top 10 peaks for 10° ≤ 2θ ≤ 90°, sorted by position:
- 2θ = 24.5°, 3.641 Å, I = 3
- 2θ = 27.5°, 3.248 Å, I = 3
- 2θ = 35.1°, 2.558 Å, I = 2
- 2θ = 37.1°, 2.424 Å, I = 2
- 2θ = 43.2°, 2.093 Å, I = 100
- 2θ = 50.1°, 1.820 Å, I = 32
- 2θ = 50.8°, 1.797 Å, I = 15
- 2θ = 73.6°, 1.287 Å, I = 9
- 2θ = 74.1°, 1.279 Å, I = 17
- 2θ = 89.4°, 1.096 Å, I = 22

Structural model:
a = 3.6406 Å, b = 3.6406 Å, c = 7.1886 Å
α = 90.00°, β = 90.00°, γ = 90.00°
Fractional coordinates of all 8 atoms:
Mn: 0.0000 0.0000 0.0000
Mn: 0.0000 0.0000 0.5000
Mn: 0.0000 0.5000 0.2389
Mn: 0.0000 0.5000 0.7611
Mn: 0.5000 0.0000 0.2389
Mn: 0.5000 0.0000 0.7611
Co: 0.5000 0.5000 0.0000
Rh: 0.5000 0.5000 0.5000

Structure and calculated powder X-ray diffraction pattern of MnCo2RuSe6 (a GGA-PBE-relaxed structure; Cu Ka).

Top 10 peaks for 10° ≤ 2θ ≤ 90°, sorted by position:
- 2θ = 14.9°, 5.955 Å, I = 19
- 2θ = 29.4°, 3.043 Å, I = 28
- 2θ = 30.0°, 2.974 Å, I = 29
- 2θ = 30.6°, 2.919 Å, I = 38
- 2θ = 30.8°, 2.905 Å, I = 21
- 2θ = 35.4°, 2.537 Å, I = 100
- 2θ = 50.4°, 1.810 Å, I = 46
- 2θ = 50.5°, 1.806 Å, I = 25
- 2θ = 51.1°, 1.786 Å, I = 25
- 2θ = 51.4°, 1.777 Å, I = 50

Structural model:
a = 8.0747 Å, b = 8.0747 Å, c = 6.1471 Å
α = 97.24°, β = 97.24°, γ = 83.14°
Fractional coordinates of all 20 atoms:
Mn: 0.0967 0.9033 0.7500
Mn: 0.9033 0.0967 0.2500
Co: 0.2321 0.3906 0.6929
Co: 0.3906 0.2321 0.1929
Co: 0.6094 0.7679 0.8071
Co: 0.7679 0.6094 0.3071
Ru: 0.2580 0.7420 0.2500
Ru: 0.7420 0.2580 0.7500
Se: 0.0327 0.1991 0.6224
Se: 0.1201 0.6256 0.8836
Se: 0.1991 0.0327 0.1224
Se: 0.3220 0.4725 0.4001
Se: 0.3744 0.8799 0.6164
Se: 0.4725 0.3220 0.9001
Se: 0.5275 0.6780 0.0999
Se: 0.6256 0.1201 0.3836
Se: 0.6780 0.5275 0.5999
Se: 0.8009 0.9673 0.8776
Se: 0.8799 0.3744 0.1164
Se: 0.9673 0.8009 0.3776

~~~~~

This entry pairs a crystal structure of MnVNiF6 with its calculated X-ray diffraction stick pattern. Radiation: copper Kα. Structure: a structure optimized by DFT (PBE+U).

Most intense lines, 10 to 80 degrees two-theta, in order of rising 2θ:
hkl 0 0 2, 2θ 19.16, rel. 14.7
>>>
Implement Intersection Control Evaluation (ICE) policies/procedures including a Safety Performance component (SPICE).
- 10% reduction in five-year rolling average lane departure fatalities and serious injuries by 2026.
Continue programs to systemically implement low-cost safety improvements on all public highways.
Improve highway delineation and roadway characteristics.
Conduct and/or support engineering, enforcement, and education research and outreach that seeks to reduce run-off-the-road crashes.
Design infrastructure to increase the likelihood a vehicle that leaves its lane can get back into the lane of travel and/or reduce the consequences of leaving the roadway.
Mitigate events at high crash locations by providing data, analysis, and countermeasure alternatives to planners and designers of improvement implementation.
Enhance and support systemic solutions state-wide by providing data, countermeasure alternatives, and other resources to implement improvements.
- 5% reduction in the five-year rolling average motorcyclist fatalities and serious injuries by 2026.
Improve and promote education for motorcyclists and all other motor vehicle operators on how to properly share the road; include law enforcement in education and outreach efforts.
Continue to promote use of the Vermont Rider Education Program for both novice and advanced riders of motorcycles.
Improve public understanding of what constitutes a USDOT-compliant motorcycle helmet and promote available training to law enforcement on this topic.
Enhance and support enforcement relating to occupant protection, DUIs, speeding, and aggressive operation of a motorcycle.
- 15% reduction in the five-year rolling average unbelted fatalities and serious injuries by 2026.
Raise awareness of and educate the public on the importance of using seat belts and other occupant protection measures for all users.
Implement education programs to encourage installation of occupant protection devices on school buses and their use.
Develop relationships with stakeholders to serve as a conduit for local affiliates to become engaged in supporting local traffic safety programs that will resonate with target audiences.
Enhance enforcement of current safety belt laws and work to strengthen Vermont’s existing occupant protection laws.
Increase proper use and installation of child safety restraints.
Conduct data analysis to identify at-risk demographics.
- 5% reduction in the five-year rolling average older driver fatalities and serious injuries by 2026.
Increase education and outreach to older drivers, family members, and caregivers, including programs through healthcare providers to evaluate older driver fitness for driving.
Conduct education and outreach to older drivers to raise awareness of alternatives to driving such as walking, bicycling, and using public transit.
Promote resources for educating older drivers on vehicle technologies.
Continue improving infrastructure with the specific needs of older drivers in mind (such as lighting, conspicuity of signs and markings, wayfinding, etc.), understanding that these measures improve safety for all roadway users.
Develop and implement programs to increase public and law enforcement’s understanding of driving with diminished skills.
Continue to use research on trends and legislation for older drivers to inform strategies and countermeasures for older driver safety.
- 10% reduction in pedestrian and 5% reduction in bicyclist five-year average fatalities and serious injuries by 2026.
Explore emerging techniques for supplementary safety measures, near-miss identification, and conflict analysis for analyzing pedestrian and bicyclist safety.
Continue to implement ‘Complete Streets’ policies and infrastructure that consider pedestrians and bicyclists early in the design phase of projects and to encourage driving at appropriate speeds.
Educate municipalities, designers, consultants, and other stakeholders on ‘Complete Streets’ policy, checklist, and philosophy, as well as the other guidelines and opportunities that exist to create safer communities for pedestrians and bicyclists.
Implement and promote educational programs for bicyclists regarding proper equipment and safe riding in traffic including commuter programs and Safe Routes to School.
Improve and promote understanding and education for pedestrians, bicyclists, and motorists on rules of the road and how to properly share the road; include law enforcement in education and outreach efforts.
Support pedestrian advocacy programs and improve awareness of existing programs.
Enhance collaboration efforts and partnerships between Federal, State, local, and private agencies to promote communities with walkable infrastructure.
- 5% reduction in the five-year rolling average speed-related and aggressive driving-related fatalities and serious injuries by 2026.
Improve the education of drivers as it relates to the impacts and consequences of speeding and aggressive driving.
Increase public awareness of and adherence to speed limits and other roadway regulations regarding aggressive driving.
Support targeted behavior education based on crash data.
Promote elements of the Safe System which reduce vehicle speeds and reduce conflict points, particularly where drivers interact with vulnerable users.
Advance the use of infrastructure techniques and technology to manage and enforce speeds including speed safety cameras.
Enhance existing high-visibility enforcement programs and techniques that relate to speeding and aggressive driving.
Continue to monitor work zone safety data to identify emerging trends and problem areas and implement actions as needed.
- 5% reduction in the five-year rolling average motorcyclist fatalities and serious injuries by 2026.
Expand and incentivize initial driver education and advanced skills training for novice drivers, including education on risk management.
Provide resources and training opportunities to mentors of younger drivers including driver educators.
Conduct education and outreach to younger drivers to raise awareness of alternatives to driving
Create outreach programs targeting the specific and varied needs of drivers in the 18 to 25 age group through colleges, employers, and other resources.
Continue to research statistics, trends, and legislation that can help improve understanding of how to influence the culture and mindset of younger drivers.
Support and disseminate data to inform statutes and legislation on the VT graduated driver licensing (GDL) law for younger drivers.
Incident Management/EMS
Use data and analysis to support and coordinate with organizations to promote mandated driver education for all novice drivers under age 25.